I was disappointed to read that we could be heading for the lowest general election turnout in modern history, with apathy among young voters being particularly high. 

Quantum chemistry results, as found in the file:
<<<
133
Properties=species:S:1:pos:R:3:forces:R:3 method="wB97M-V/def2-TZVPD" e_homo_ev=-8.939 orbital_gap_ev=7.2 total_charge=+1
C 7.906 -0.421 6.407 -0.249 1.518 0.395
C 7.216 0.714 5.596 -0.038 -0.544 0.074
C 8.191 1.584 4.779 -0.917 0.522 -0.434
C 7.369 2.627 4.047 0.688 0.477 -1.308
N 8.085 3.186 2.749 -0.754 -0.617 -0.850
C 7.892 2.161 1.540 1.209 2.012 -0.346
C 8.119 3.129 0.330 0.183 -1.470 -1.038
C 7.509 4.490 0.601 -0.173 -0.706 2.037
C 7.231 4.369 2.159 0.111 -0.060 -0.010
C 9.579 3.535 3.026 0.195 0.424 -0.451
C 10.269 4.722 2.306 -0.846 0.247 -0.614
C 11.550 5.106 2.947 2.353 -0.333 0.962
H 8.773 -0.754 5.836 -0.148 -0.466 0.232
H 7.243 -1.210 6.762 -0.050 -0.147 -0.733
H 8.234 0.008 7.354 0.527 0.086 -0.061
H 6.578 1.370 6.188 0.269 0.031 0.558
H 6.468 0.271 4.940 0.226 -0.142 -0.504
H 8.649 1.012 3.972 0.589 -0.357 0.470
H 8.877 2.188 5.373 0.499 -0.868 0.226
H 7.195 3.505 4.669 -0.411 -0.092 -0.120
H 6.476 2.132 3.665 -0.263 0.586 0.077
H 8.566 1.308 1.466 0.428 0.315 0.727
H 6.896 1.722 1.596 -0.173 0.598 0.085
H 9.143 3.237 -0.027 0.367 -0.284 0.814
H 7.694 2.633 -0.542 -0.453 0.125 -0.030
H 8.179 5.337 0.452 -0.088 -0.243 -0.378
H 6.607 4.551 -0.007 -0.111 0.573 0.507
H 7.431 5.263 2.750 0.191 -0.058 -0.131
H 6.191 4.107 2.350 0.092 -0.216 0.001
H 10.158 2.628 2.850 -0.193 -0.065 0.110
H 9.710 3.834 4.066 -0.635 -0.448 0.212
H 9.662 5.623 2.397 -0.446 -0.140 -0.383
H 10.565 4.559 1.270 -0.794 -0.229 -0.200
H 11.520 5.268 4.025 -0.269 0.185 0.035
H 12.070 5.948 2.490 -0.774 0.524 -0.057
H 12.358 4.389 2.800 -0.240 -0.748 0.117
C -4.907 -5.226 -3.882 -0.756 -0.794 0.695
C -4.396 -4.462 -5.053 -0.379 -0.013 0.431
C -4.509 -2.939 -4.821 -0.268 0.091 -1.548
C -5.958 -2.435 -4.657 0.330 0.615 0.357
N -6.124 -0.870 -4.753 -0.093 0.439 0.617
C -5.595 -0.043 -3.532 0.706 -0.517 0.667
C -6.589 -0.286 -2.337 1.904 -1.829 -0.984
C -7.875 -0.492 -3.081 -1.185 0.723 0.602
C -7.589 -0.535 -4.567 -0.733 -0.464 -0.869
C -5.572 -0.282 -6.086 -0.271 0.434 0.450
C -6.229 -0.797 -7.361 -0.715 -1.994 1.270
C -5.518 -0.440 -8.623 0.710 1.219 -0.465
H -5.935 -4.953 -3.644 -0.071 0.012 0.217
H -4.284 -5.088 -2.998 -0.060 -0.001 0.059
H -4.943 -6.287 -4.126 0.125 -0.078 0.188
H -4.970 -4.784 -5.922 0.001 0.339 -0.268
H -3.388 -4.856 -5.185 0.293 0.842 -0.402
H -4.203 -2.518 -5.779 0.554 0.371 0.127
H -3.840 -2.606 -4.027 -0.132 0.049 0.035
H -6.390 -2.779 -3.717 -0.044 0.461 0.127
H -6.630 -2.787 -5.440 0.285 -0.158 -0.095
H -5.558 1.005 -3.830 -0.120 -0.135 -0.238
H -4.581 -0.379 -3.316 -0.029 0.098 -0.043
H -6.636 0.409 -1.499 0.272 0.493 -0.647
H -6.268 -1.214 -1.864 0.053 -0.127 0.052
H -8.404 0.409 -2.769 -0.876 -0.209 -0.763
H -8.458 -1.366 -2.790 0.141 0.118 0.253
H -7.824 0.395 -5.086 0.397 0.164 0.142
H -8.207 -1.286 -5.059 0.169 -0.097 -0.061
H -4.486 -0.365 -6.104 -0.094 -0.207 0.224
H -5.828 0.776 -6.028 0.247 0.108 0.253
H -7.284 -0.531 -7.285 -0.036 0.334 -0.561
H -6.244 -1.885 -7.311 -0.052 -0.266 0.041
>>>
So much for the quantum chemistry results:

It will be fascinating to see what the final figures do reveal and whether the pollsters got it right. I do hope not. It would really sadden me if it were the case because I grew up in a culture that valued all that John Frost fought for.

Don’t get me wrong. I am not talking about that ‘chilling figure’ that we all try to avoid in the depths of winter. I am referring to the famous Chartist Leader from Newport (Monmouthshire) who campaigned for the right of all men to have the vote and was the last men in Britain to be sentenced to be hanged, drawn and quartered.

Between two parts of the text: molecular data:
+++
No. 1
C20H16Cl2O5PSYb | the ωB97M-V functional and the def2-TZVPD basis

Last column: Mulliken charge in e.
Atoms and positions in Å:
Yb: 10.337 5.502 9.916  0.7540
Cl: 12.084 4.065 11.516  -0.2448
Cl: 11.410 7.056 8.223  -0.5288
S: 7.474 5.710 9.440  1.5434
P: 8.090 8.617 8.486  0.7938
O: 10.497 6.993 11.528  -0.2994
O: 8.611 6.484 8.665  -0.0315
O: 10.861 6.535 13.731  -0.5848
O: 6.651 4.923 8.581  -0.6583
O: 8.089 5.045 10.590  -0.7924
C: 12.480 5.933 12.083  -0.5923
C: 10.425 11.971 8.622  -0.4400
C: 7.172 8.151 5.913  -0.7587
C: 4.676 8.058 11.393  -0.5265
C: 6.320 9.396 10.327  -0.2518
C: 6.606 10.338 6.816  -0.0029
C: 5.185 9.317 11.133  -0.7484
C: 6.449 6.979 10.137  0.1530
C: 11.218 6.610 12.531  0.7917
C: 5.791 10.614 5.676  -0.6803
C: 5.355 6.877 11.025  -0.7024
C: 9.707 9.821 10.310  -0.4616
C: 5.567 9.603 4.757  -0.4945
C: 6.821 8.260 9.723  0.2943
C: 10.908 11.883 9.966  -0.6977
C: 6.280 8.402 4.888  -0.3792
C: 10.666 10.765 10.718  -0.5439
C: 9.574 10.990 8.138  -0.6180
C: 7.212 9.094 6.985  0.0443
C: 9.181 9.911 9.018  0.5796
H: 4.948 5.906 11.290  0.4432
H: 12.949 6.454 11.164  0.3572
H: 5.457 11.636 5.524  0.3787
H: 9.260 10.911 7.092  0.4002
H: 4.707 10.208 11.561  0.3923
H: 13.233 5.759 12.869  0.3512
H: 6.894 10.336 10.198  0.3488
H: 11.600 12.643 10.305  0.3485
H: 7.701 7.236 5.987  0.4895
H: 9.498 8.949 10.912  0.3289
H: 11.141 10.548 11.686  0.3710
H: 6.194 7.611 4.153  0.3652
H: 6.709 11.082 7.601  0.3564
H: 4.916 9.756 3.884  0.3523
H: 3.763 7.919 11.966  0.3797
H: 10.664 12.797 7.982  0.4209

## Properties
Kohn-Sham gap (alpha / beta) = 4.573 / 4.017 eV
Multiplicity = 2
LUMO level (alpha / beta) = -1.4 / -1.9 eV
Energy above the lowest of the compared OMol25 structures with the same formula, charge and spin = 44.3 kcal/mol



No. 2
C20H16Cl3NO9V | the ωB97M-V functional and the def2-TZVPD basis

Last column: Mulliken charge in e.
Atoms and positions in Å:
V: 0.029 0.207 -0.142  0.9870
Cl: 3.950 -5.063 -3.006  -0.2324
Cl: 1.879 2.593 -3.396  -0.1903
Cl: -2.471 5.428 -4.833  -0.2155
O: 1.777 -0.155 0.205  -0.5888
O: 0.139 1.626 -1.251  -0.1150
O: 1.422 -2.099 1.371  -0.3068
O: -2.114 1.406 0.001  -0.4873
O: 2.288 -0.619 2.827  -0.5951
O: -1.054 -0.701 0.991  0.0531
O: 0.400 1.397 1.686  -0.4422
O: -3.269 -1.019 1.109  -0.6526
O: -0.041 -1.065 -1.442  -0.5878
N: -0.664 -0.860 3.646  0.2971
C: 1.473 -1.469 2.552  0.7828
C: 0.749 -2.674 -2.958  -0.5264
C: 2.005 -2.239 -0.950  0.4000
C: -2.191 -0.938 1.627  0.6723
C: -2.541 2.263 -0.750  -0.2617
C: -0.462 2.461 -2.064  -0.2517
C: 2.207 -1.460 0.313  0.5422
C: -0.386 3.936 -3.978  -0.6014
C: 0.900 -1.970 -1.765  0.2465
C: -1.974 -1.128 3.132  -1.0379
C: 1.678 -3.624 -3.339  -0.5427
C: -1.714 4.292 -3.764  0.2617
C: -0.322 0.513 3.935  -0.9832
C: -0.471 1.550 2.817  -0.5733
C: 2.940 -3.187 -1.341  -1.1292
C: -1.798 2.831 -1.870  0.9668
C: -2.420 3.750 -2.715  -1.0649
C: 0.233 3.033 -3.138  0.3596
C: 2.772 -3.877 -2.526  0.1677
C: 0.369 -1.869 3.516  -0.9565
+++

Thankfully he wasn’t, although he did have to endure the pain of transportation and exile before being granted an unconditional pardon that allowed him to return to Britian. He probably jumped for joy when he heard that good news, but I get the feeling he would have been just as thrilled if he had known that women would finally be given the right to choose those who govern them too.

Given all this it should come as no surprise to you that I take voting seriously. But this is not the only reason. I am convinced that my faith compels me to do it too.

Christians will differ over which particular candidate to support of course but the Bible makes it clear that they are to pray for them as well as do everything they can to make this world a better place. They should be prepared to challenge them when they believe that is necessary too, because in the final analysis we will all have to give an account to God for the things we say and do.

 We are all accountable for the way we relate to Jesus too because none of us can dodge the question He once put to His disciples: “Who do you say I am?’.  The apostle Peter was in no doubt. He replied that He was the long-awaited Jewish Messiah. In other words, Peter was telling the young carpenter from Galilee that he believed He would rule the world. Now that was a staggering admission, and it was one that would ultimately cost him his life.

I believe we all need to spend a little time reflecting on Peter’s confession because if he was right then we must acknowledge Jesus as our rightful king. Opting out is not an option. We either obey or disobey Him.  

We’re free to make our own decisions of course. That is our God-given privilege and one that should definitely be defended. In fact, it took me a very long time to cast my vote in favour of Jesus. It worries me though, that lots of people seem to spend more time reflecting on political issues than they do thinking about Him. That is particularly sad because the stakes are much higher, and the promises infinitely more reliable. So how do we explain it?  I can only conclude that it’s yet more proof that there is ‘nowt so queer as folk’.